Sunday, August 27, 2006

Of Tea and Guitars

Tea is a very big deal here in Dhaka. It's sweet, savory and nearly as good as a cup of strong cowboy coffee. This morning we had it during a staff meeting and just now the office assistant brought me a cup, nice and hot. So far today has been lots of meetings and power point presentations--learning who does what at the MCC office and also about some of the development projects they are working on. One big thing is getting safe drinking water, free of arsenic. We listened to Rebecca, who is a bengali woman with a civil engineering degree talk about the different options for treating water as well as dealing with those who have arsenic poisoning already.

I've been craving a creative outlet here. Darren, who is a guitar extrodinair knew that I've been wanting to learn how to play. So today he found a guitar for me to learn! I am so excited and think that this will be a wonderful way to express myself and process and relax. I've been listening to lots of music, and coloring and also doing crosswords. These along with exploring the city last night have proven to be very rich and colorful times of learning and absorbing what is going around me here. I am beginning to realize that I'm not in Kansas anymore. I am in Bangladesh, learning, wondering, exploring, sweating, and loving it.

I am excited for the adventures to come and grateful for the last three days of taking it all in and first experiences of Bangladesh life. The rest of the day is free, which I am excited about. It's going to be so good to not be in structured meetings.

Tomorrow I will get my 3 salwar kameezes from the tailor--you guys would laugh and know that I am in my element with alllllllllllllll the colors and fabric and scarves and bells and maybe even whistles on clothes. I may never wear jeans again. Matching means nothing here and it's all about the contrast. I'll try to post some pictures to give you the full effect later.



Anonymous said...

a) i'm glad you are fulfilling your colorful outfit quotas. please include pictures as soon as possible.
b) good luck with the guitar. i hope you can play some expert music for me next year.

Anonymous said...

Wow, you are in Bangladesh! it is just so weird. A month ago we would have breakfast and talk about you packing your scarves and picking up a years supply of contacts. But you are there now. I am missing you on Monday mornings.

Love, Emma

Anonymous said...

The tea is almost as good as a cup of coffee? I wonder if its "worth the choice" then. :) Your host family seems neighborly with the massive cleaning, the guitar lessons harmoniously stimulating, and the arsenic water projects gripping. Looking forward to seeing the pictures- it will be neat to see you and your setting. I love reading your posts.

Anonymous said...

Data records that have nothing to do with the text.
BaLiP | the Materials Project | r2SCAN | relaxed; raw total energy = -13.684 eV/atom
1.0
4.524 0.000 0.000
-2.262 3.918 0.000
0.000 0.000 8.752
Ba Li P
2 2 2
Direct
0.000 0.000 0.000
0.000 0.000 0.500
0.333 0.667 0.250
0.667 0.333 0.750
0.333 0.667 0.750
0.667 0.333 0.250

***

CaMg2C3O9 | the Materials Project | r2SCAN | relaxed; energy above the most stable polymorph in this dataset = 19 meV per atom
1.0
-5.132 -1.316 -2.621
0.847 7.493 -0.693
5.543 -4.044 -4.521
Ca Mg C O
2 4 6 18
Direct
0.681 0.181 0.336
0.345 0.345 0.664
0.003 0.497 0.001
0.330 0.837 0.664
0.001 0.995 0.999
0.666 0.673 0.336
0.497 0.244 0.996
0.844 0.601 0.676
0.154 0.900 0.324
0.501 0.748 0.004
0.830 0.076 0.676
0.168 0.425 0.324
0.683 0.425 0.091
0.027 0.781 0.761
0.339 0.077 0.416
0.784 0.498 0.766
0.060 0.811 0.416
0.387 0.160 0.082
0.922 0.170 0.857
0.215 0.522 0.502
0.609 0.833 0.184
0.304 0.578 0.918
0.644 0.895 0.584
0.018 0.233 0.234
0.266 0.520 0.239
0.592 0.834 0.909
0.923 0.161 0.584
0.065 0.812 0.143
0.425 0.149 0.816
0.713 0.520 0.498

***

CsAsF4 | the Materials Project | r2SCAN | relaxed; raw total energy = -11.273 eV/atom
1.0
4.759 0.000 0.000
0.000 6.131 -2.433
0.000 0.021 8.437
Cs As F
2 2 8
Direct
0.698 0.100 0.783
0.198 0.900 0.217
0.191 0.541 0.689
0.691 0.459 0.311
0.204 0.843 0.836
0.704 0.157 0.164
0.562 0.545 0.716
0.062 0.455 0.284
0.724 0.769 0.415
0.224 0.231 0.585
0.619 0.509 0.123
0.119 0.491 0.877

~~~~~

i) The following is a PBE-GGA calculation of an optimized crystal structure of Al3Pb5F19, from the Materials Project database.

abc: 20.479 20.479 7.312
angles: 90.00 90.00 90.00
Space group P4/n (No. 85, origin choice 2)
Symmetry-distinct sites (fractional):
1 Al 0.009 0.167 0.009
2 Al 0.009 0.665 0.494
3 Al 0.250 0.250 0.243
4 Al 0.250 0.250 0.748
5 Al 0.250 0.750 0.253
6 Pb 0.007 0.018 0.754
7 Pb 0.085 0.327 0.011
8 Pb 0.089 0.829 0.506
9 Pb 0.110 0.174 0.506
10 Pb 0.111 0.669 0.998
11 F 0.009 0.248 0.532
12 F 0.013 0.747 0.022
13 F 0.019 0.106 0.506
14 F 0.021 0.601 0.992
15 F 0.029 0.577 0.515
16 F 0.034 0.081 0.041
17 F 0.050 0.861 0.169
18 F 0.052 0.360 0.681
19 F 0.055 0.346 0.336
20 F 0.057 0.847 0.826
21 F 0.067 0.191 0.183
22 F 0.070 0.683 0.666
23 F 0.074 0.172 0.839
24 F 0.074 0.669 0.324
25 F 0.167 0.281 0.741
26 F 0.167 0.783 0.247
27 F 0.168 0.782 0.753
28 F 0.170 0.287 0.250
29 F 0.250 0.250 0.496
30 F 0.250 0.250 0.995
31 F 0.250 0.750 0.000
32 F 0.250 0.750 0.500

ii) The following is a PBE-GGA calculation of an optimized crystal structure of Al3Pb5F19, from the Materials Project database.

abc: 14.370 14.370 7.579
angles: 90.00 90.00 90.00
Space group I4cm (No. 108)
Symmetry-distinct sites (fractional):
1 Al 0.000 0.000 0.000
2 Al 0.161 0.339 0.296
3 Pb 0.000 0.500 0.455
4 Pb 0.074 0.225 0.837
5 F 0.000 0.000 0.245
6 F 0.053 0.114 0.492
7 F 0.069 0.305 0.456
8 F 0.077 0.423 0.208
9 F 0.112 0.251 0.144
10 F 0.115 0.385 0.829
11 F 0.245 0.255 0.371

Of them, i) has the lowest stability.

I'll bet you are in heaven with the colorful clothing; I'm excited to see pictures. Glad to hear you had a good time with Em. Bangladesh sounds fantastic!

Anonymous said...

Hey Cic!
I just started reading your blog. Wow! I am so jealous that you get to see and buy colourful cloth. That was the best part of Ghana for me. Enjoy the freedom of those...what ar they? Kamezz sharees?

I am working on a letter...

Take care.